To do =
Start at the top of the material further below and write out each line, ending with the one that has "Br2 Br".

Source =
- - -
Structure and simulated X-ray powder pattern of Li3TiCu4O8 (a crystal structure in the Materials Project, relaxed with GGA-PBE; Cu Kα (λ = 1.5418 Å)).
Intensities are scaled so that the largest is 100.

Cell and atoms:
```
data_Li3TiCu4O8
_chemical_formula_sum 'Li6 Ti2 Cu8 O16'
_symmetry_space_group_name_H-M 'C 1 2/m 1'
_symmetry_Int_Tables_number 12
_symmetry_space_group_name_Hall '-C 2y'
_cell_length_a 10.935
_cell_length_b 5.762
_cell_length_c 5.664
_cell_angle_alpha 90.00
_cell_angle_beta 119.48
_cell_angle_gamma 90.00
loop_
_atom_site_label
_atom_site_type_symbol
_atom_site_fract_x
_atom_site_fract_y
_atom_site_fract_z
Li1 Li 0.000 0.000 0.000
Li2 Li 0.250 0.250 0.500
Ti1 Ti 0.000 0.500 0.500
Cu1 Cu 0.000 0.000 0.500
Cu2 Cu 0.000 0.500 0.000
Cu3 Cu 0.250 0.250 0.000
O1 O 0.025 0.268 0.270
O2 O 0.206 0.000 0.740
O3 O 0.216 0.500 0.744
```

Principal peaks in the range 2θ = 10–90°, by angle:
- 18.0°, d 4.930, intensity 26, hkl 0 0 1
- 18.5°, d 4.804, intensity 87, hkl 2 0 -1
- 22.0°, d 4.038, intensity 23, hkl 1 1 -1
- 36.1°, d 2.487, intensity 25, hkl 0 2 1
- 36.5°, d 2.465, intensity 43, hkl 2 2 0
- 37.4°, d 2.402, intensity 23, hkl 4 0 -2
- 37.8°, d 2.380, intensity 73, hkl 4 0 0
- 44.9°, d 2.019, intensity 100, hkl 2 2 -2
- 59.4°, d 1.556, intensity 36, hkl 2 2 2
- 60.8°, d 1.524, intensity 28, hkl 6 2 -2

***

Structure and simulated X-ray powder pattern of MgTe4Pb6Br4O12 (a crystal structure in the Materials Project, relaxed with GGA-PBE; Cu Kα (λ = 1.5418 Å)).
Intensities are scaled so that the largest is 100.

Cell and atoms:
```
data_MgTe4Pb6Br4O12
_chemical_formula_sum 'Mg1 Te4 Pb6 Br4 O12'
_symmetry_space_group_name_H-M 'P 1'
_symmetry_Int_Tables_number 1
_symmetry_space_group_name_Hall 'P 1'
_cell_length_a 5.885
_cell_length_b 9.142
_cell_length_c 12.187
_cell_angle_alpha 76.90
_cell_angle_beta 87.88
_cell_angle_gamma 73.91
loop_
_atom_site_label
_atom_site_type_symbol
_atom_site_fract_x
_atom_site_fract_y
_atom_site_fract_z
Mg1 Mg 0.000 0.000 0.000
Te1 Te 0.011 0.624 0.362
Te2 Te 0.236 0.119 0.531
Te3 Te 0.440 0.607 0.849
Te4 Te 0.633 0.259 0.006
Pb1 Pb 0.025 0.444 0.740
Pb2 Pb 0.171 0.283 0.176
Pb3 Pb 0.392 0.707 0.547
Pb4 Pb 0.447 0.817 0.189
Pb5 Pb 0.740 0.042 0.329
Pb6 Pb 0.817 0.916 0.696
Br1 Br 0.265 0.030 0.837
Br2 Br 0.588 0.436 0.277
Br3 Br 0.665 0.282 0.624
Br4 Br 0.942 0.735 0.043
O1 O 0.050 0.590 0.519
O2 O 0.079 0.956 0.550
O3 O 0.149 0.796 0.326
O4 O 0.181 0.676 0.728
O5 O 0.209 0.183 0.375
O6 O 0.355 0.412 0.872
O7 O 0.474 0.060 0.189
O8 O 0.541 0.968 0.538
O9 O 0.652 0.650 0.727
O10 O 0.697 0.767 0.345
O11 O 0.767 0.431 0.921
O12 O 0.952 0.140 0.105
```

Principal peaks in the range 2θ = 10–90°, by angle:
- 11.3°, d 7.829, intensity 39, hkl 0 1 1
- 14.9°, d 5.932, intensity 27, hkl 0 0 2
- 20.4°, d 4.350, intensity 30, hkl 0 2 1
- 26.2°, d 3.398, intensity 94, hkl 1 1 3
- 27.2°, d 3.283, intensity 100, hkl 1 0 -3
- 28.3°, d 3.150, intensity 63, hkl 0 2 -2
- 29.1°, d 3.069, intensity 70, hkl -1 2 1
- 30.2°, d 2.955, intensity 79, hkl 1 3 1
- 30.5°, d 2.936, intensity 73, hkl 2 1 0
- 43.5°, d 2.079, intensity 32, hkl 2 3 -2

=====

Entry 1:
The following is a theoretical XRD peak list of NbNi3. It was derived from a DFT-relaxed cell (GGA-PBE, the Materials Project), using a wavelength of 1.5418 Å.
No peak broadening, texture or thermal motion is included.

Top 6 peaks for 2θ from 10° to 80°, in order of rising 2θ:
2theta  d (Å)  Rel. int.
24.08  3.695  4
34.32  2.613  3
42.36  2.134  100
49.32  1.848  47
55.61  1.653  2
72.32  1.307  28

Structural model:
Cell: 3.6955 3.6955 3.6955 Å, 90.00 90.00 90.00°
Atoms (fractional coordinates):
Nb  0.0000  0.0000  0.0000
Ni  0.0000  0.5000  0.5000
Ni  0.5000  0.0000  0.5000
Ni  0.5000  0.5000  0.0000


Entry 2:
The following is a theoretical XRD peak list of NbNi. It was derived from a DFT-relaxed cell (GGA-PBE, the Materials Project), using a wavelength of 1.5418 Å.
No peak broadening, texture or thermal motion is included.
- - -

Solution =
Structure and simulated X-ray powder pattern of Li3TiCu4O8 (a crystal structure in the Materials Project, relaxed with GGA-PBE; Cu Kα (λ = 1.5418 Å)).
Intensities are scaled so that the largest is 100.

Cell and atoms:
```
data_Li3TiCu4O8
_chemical_formula_sum 'Li6 Ti2 Cu8 O16'
_symmetry_space_group_name_H-M 'C 1 2/m 1'
_symmetry_Int_Tables_number 12
_symmetry_space_group_name_Hall '-C 2y'
_cell_length_a 10.935
_cell_length_b 5.762
_cell_length_c 5.664
_cell_angle_alpha 90.00
_cell_angle_beta 119.48
_cell_angle_gamma 90.00
loop_
_atom_site_label
_atom_site_type_symbol
_atom_site_fract_x
_atom_site_fract_y
_atom_site_fract_z
Li1 Li 0.000 0.000 0.000
Li2 Li 0.250 0.250 0.500
Ti1 Ti 0.000 0.500 0.500
Cu1 Cu 0.000 0.000 0.500
Cu2 Cu 0.000 0.500 0.000
Cu3 Cu 0.250 0.250 0.000
O1 O 0.025 0.268 0.270
O2 O 0.206 0.000 0.740
O3 O 0.216 0.500 0.744
```

Principal peaks in the range 2θ = 10–90°, by angle:
- 18.0°, d 4.930, intensity 26, hkl 0 0 1
- 18.5°, d 4.804, intensity 87, hkl 2 0 -1
- 22.0°, d 4.038, intensity 23, hkl 1 1 -1
- 36.1°, d 2.487, intensity 25, hkl 0 2 1
- 36.5°, d 2.465, intensity 43, hkl 2 2 0
- 37.4°, d 2.402, intensity 23, hkl 4 0 -2
- 37.8°, d 2.380, intensity 73, hkl 4 0 0
- 44.9°, d 2.019, intensity 100, hkl 2 2 -2
- 59.4°, d 1.556, intensity 36, hkl 2 2 2
- 60.8°, d 1.524, intensity 28, hkl 6 2 -2

***

Structure and simulated X-ray powder pattern of MgTe4Pb6Br4O12 (a crystal structure in the Materials Project, relaxed with GGA-PBE; Cu Kα (λ = 1.5418 Å)).
Intensities are scaled so that the largest is 100.

Cell and atoms:
```
data_MgTe4Pb6Br4O12
_chemical_formula_sum 'Mg1 Te4 Pb6 Br4 O12'
_symmetry_space_group_name_H-M 'P 1'
_symmetry_Int_Tables_number 1
_symmetry_space_group_name_Hall 'P 1'
_cell_length_a 5.885
_cell_length_b 9.142
_cell_length_c 12.187
_cell_angle_alpha 76.90
_cell_angle_beta 87.88
_cell_angle_gamma 73.91
loop_
_atom_site_label
_atom_site_type_symbol
_atom_site_fract_x
_atom_site_fract_y
_atom_site_fract_z
Mg1 Mg 0.000 0.000 0.000
Te1 Te 0.011 0.624 0.362
Te2 Te 0.236 0.119 0.531
Te3 Te 0.440 0.607 0.849
Te4 Te 0.633 0.259 0.006
Pb1 Pb 0.025 0.444 0.740
Pb2 Pb 0.171 0.283 0.176
Pb3 Pb 0.392 0.707 0.547
Pb4 Pb 0.447 0.817 0.189
Pb5 Pb 0.740 0.042 0.329
Pb6 Pb 0.817 0.916 0.696
Br1 Br 0.265 0.030 0.837
Br2 Br 0.588 0.436 0.277